Spiration Valve System for Treatment of Severe Emphysema

Endobronchial Valve Treatment

Spiration Valve System for Treatment of Severe Emphysema

Emphysema is a type of chronic obstructive pulmonary disease (COPD) which is progressive in nature and characterized by a loss of elasticity and enlargement of the air sacs of the lung. As a result, the diseased lobes of the lungs become hyperinflated causing significant challenges with breathing.

A novel procedure for severe emphysema, bronchoscopic lung volume reduction (BLVR) achieved using endobronchial valves is a minimally-invasive therapy for patients who are already on optimal medical management. In the right patients, treatment with endobronchial valves can significantly improve lung function by redirecting air away from hyperinflated portions of the lung to healthier portions, allowing them to function more normally.

Based on safety and efficacy data from multiple international clinical studies, BLVR achieved using endobronchial valves is now recommended by numerous prominent guidelines as a treatment option for advanced emphysema:

  • 2017 Global Initiative for Chronic Obstructive Lung Disease (GOLD)1
  • National Institute for Health and Care Excellence Interventional Procedures Guidance (NICE)2

### Next to the page, the page also holds quantum chemistry results
'''
Below is a 3-piece molecular cluster, C20H47NO15P2S overall in a non-equilibrium geometry, with properties calculated with ωB97M-V/def2-TZVPD.

Properties
DFT total energy   -3054.524917 a.u.
Orbital gap   9.45 eV
SMILES   CCOCCONC(=O)OCCCS(=O)(=O)O.CCOP(=O)(OCC)OCC.CCOP(=O)(OCC)OCC
HOMO   -0.34714 Eh
Net charge   0

```
86
Properties=species:S:1:pos:R:3:lowdin_charge:R:1
O -2.47800 -1.07762 5.63071 -0.257
O -0.41324 0.96887 7.39938 0.166
H -2.66038 0.55506 -9.40247 0.058
C 0.54095 -2.41716 2.05398 -0.069
H -4.37604 0.26034 -7.80437 0.102
H -3.49596 -2.63338 -7.26948 0.085
H 1.35157 2.90234 3.48622 0.127
O -3.47495 -0.21314 -6.00048 -0.176
C -3.58061 -1.75507 -7.91051 -0.082
H -0.32471 3.12455 5.19459 0.132
H 5.14902 -1.07099 -2.11424 0.075
H 1.01074 1.07279 -2.95980 0.072
O -3.26408 -0.56780 3.35652 -0.160
H 3.30037 -0.80412 4.11557 0.107
H -0.32318 2.23751 -3.03603 0.078
H 1.28936 -2.01915 -3.18657 0.112
O -2.01451 1.86968 6.07936 -0.012
C -4.21974 -0.60653 -7.15819 -0.270
O 3.88383 1.11798 4.76643 -0.122
O -2.12761 1.58306 -6.89328 -0.185
H -1.20449 2.91472 -8.11348 0.119
H -4.12139 1.53831 4.79724 0.105
H -0.57174 -3.45913 -2.45043 0.085
O 1.70685 -0.56400 0.93622 -0.194
O -0.49407 -0.22257 -6.36351 -0.228
C -1.48921 1.86175 -8.13834 -0.279
C 0.44001 -1.06031 1.39130 -0.263
H -2.57019 -1.49806 -8.24700 0.065
H -5.49010 0.57599 5.29237 0.105
H -0.23963 -3.07943 -0.75806 0.065
H -5.02274 1.34810 7.39381 0.120
H 0.47721 1.74034 -4.51603 0.077
N 0.18329 2.53357 5.85346 0.081
O 3.54416 -2.58158 -0.36829 -0.225
H 1.89223 -3.20395 -2.03793 0.108
O 3.65057 -0.17330 -0.12643 -0.208
H -3.98587 -0.04555 2.97335 0.085
P -1.90311 0.16671 -6.11770 0.521
H 0.06467 -0.33509 2.11406 0.118
S -3.67917 -0.83800 4.90309 0.596
H 5.33541 -1.24958 0.46164 0.103
H -1.29534 0.04429 -2.70480 0.106
C -4.41786 0.71227 5.44284 -0.218
C -0.85051 0.25355 -3.67832 -0.290
C -2.41864 1.61686 -9.31177 -0.077
C -0.18288 -2.69282 -1.77872 -0.070
H 6.71952 -0.58930 -1.44690 0.077
H 5.86774 -0.43163 5.72662 0.074
C -4.10990 0.97666 6.92587 -0.169
C 5.27013 -0.85275 4.91919 -0.074
C 3.04259 1.64690 3.77333 -0.195
H -0.36030 -0.65916 -4.01334 0.088
H -0.82733 -1.81804 -1.83488 0.052
H 0.96069 -3.16695 1.37340 0.069
C -3.01381 2.02972 7.08281 -0.164
H 1.19708 -2.36945 2.92418 0.080
H -0.26871 -1.06732 0.55967 0.104
H -3.35576 2.16033 -9.18367 0.080
H -4.17438 -2.01742 -8.78594 0.085
O 1.71924 -1.23060 -1.36832 -0.192
H 5.46772 0.50089 0.48684 0.114
C 1.92450 2.49592 4.33662 -0.188
C 3.85125 -0.29198 4.90775 -0.265
H -5.20284 -0.90909 -6.79780 0.121
H -3.86130 0.03868 7.42034 0.120
C 5.65589 -0.34806 -1.47545 -0.074
H -2.61596 2.01355 8.09674 0.135
C 5.06783 -0.34261 -0.07943 -0.292
H 2.32816 3.34363 4.89866 0.130
H 2.64430 0.91350 3.06620 0.113
C -0.74572 1.72123 6.53509 -0.522
H -0.57382 1.27994 -8.25490 0.107
C 1.24500 -2.33204 -2.14192 -0.273
O 1.06667 1.70153 5.12734 -0.101
C 0.14213 1.38862 -3.54024 -0.057
H 5.76074 -0.60254 3.97450 0.071
H 5.53488 0.63165 -1.94074 0.076
'''

The Spiration Valve System (SVS) is an innovative endobronchial technology that offers patients with severe emphysema a customized, minimally invasive treatment option for lung volume reduction with a favorable risk-benefit profile. In clinical trials, patients treated with the SVS experienced improved breathing, lung function, and quality of life.3

For more information, click here.

Key Benefits

Inspired by an aerodynamic design, the Spiration Valve redirects air away from diseased areas of the lung to healthier tissue, all while allowing trapped air and secretions to escape naturally along the airway wall, so that patients may breathe easier. The unique design of the Spiration Valve allows for flexible valve placement in tortuous anatomy, such as airways in the upper lobe segments, independent of airway depth or absence of a carina.

Procedure Benefits3,4

Procedure benefits may include:

  • Reduction in hyperinflation
  • Improvements in pulmonary function as indicated by a change in FEV1
  • Improved quality of life measured by St. George's Respiratory Questionnaire (SGRQ)
  • Less dyspnea measured by mMRC

Indications for Use

Spiration Valves are one-way endobronchial valves indicated for adult patients with shortness of breath and hyperinflation associated with severe emphysema in regions of the lung that have evidence of low collateral ventilation.


  • Patient is not an appropriate candidate for, or unable to tolerate, flexible bronchoscopy procedures.
  • Patients with known or suspected sensitivity or allergy to nickel.
  • Patients with evidence of active pulmonary infection.
  • Patients who have not quit smoking.
  • Patients with large bullae encompassing greater than 30% of either lung.
  • Patients with diffuse homogenous emphysema.

General Warnings and Precautions

The following are general warnings: The safety and effectiveness of the Spiration Valve System have not been studied in

  • Prior major lung or chest surgery
    • Lung Volume Reduction Surgery (LVRS)
    • Transplant
    • Median sternotomy or thoracotomy
  • Known cardiac history of myocardial infarction or congestive heart failure
  • Implanted endobronchial valve currently treating a prolonged air leak

Read the complete Prescriptive Information here.

Spiration® Reimbursement Helpline

Olympus has designated services and programs available to assist you with all of your reimbursement questions and needs related to the Spiration Valve System.

Contact Information:
Hours: 9:00 am – 5:00 pm Eastern Standard Time
Phone: 855-428-7346
Email: Spirationvalvereim@olympus.com

1 2019 Global Strategy for the Diagnosis, Management, and Prevention of COPD. Global Initiative for Chronic Obstructive Lung Disease (GOLD) 2018. http://goldcopd.org

2 National Institute for Health and Care Excellence (2017) Endobroncial valve insertion to reduce lung volume in emphysema (NICE guideline IPG 600) Available at: nice.org.uk/guidance/ipg600 [Accessed 16 November 2018].

3 Criner GJ, et al. 2018. The EMPROVE Trial - a Randomized, Controlled Multicenter Clinical Study to Evaluate the Safety and Effectiveness of the Spiration® Valve System for Single Lobe Treatment of Severe Emphysema. American Thoracic Society Conference. Abstract A7753.

4 Spiration Valve System. Summary of Safety and Effectiveness. 2018. Data on file.

Product Support

Spiration Valves

A single-use, one-way bronchial valve preloaded in a disposable cartridge.

Catalog Number Valve in Cartridge
SVS-V5-00 5mm
SVS-V6-00 6mm
SVS-V7-00 7mm
SVS-V9-00 9mm

Deployment Catheter and Loader

A convenient deployment system for the delivery of multiple valves during a single patient procedure

Catalog Number Minimum Working Channel
SVS-C26N-06 2.6mm or greater inner diameter Deployment Catheter Length 1050mm

Airway Sizing Kit

A kit used to determine the appropriate valve size for each target airway

Catalog Number Kit Includes
SVS-VSK-KIT 500 microliter glass syringe with a plunger, a calibration gauge, Olympus balloon catheter (B5-2C), and a sizing worksheet

Ancillary equipment needed for each procedure

  • Flexible therapeutic bronchoscope with a working channel inner diameter of 2.6mm or greater
  • Bronchoscopy forceps appropriate for valve removal
  • Standard 10cc sterile syringe with Luer-lock
  • Sterile saline (approximately 15-30cc used per procedure)

Spiration Valves

A single-use, one-way bronchial valve preloaded in a disposable cartridge.

Catalog Number Valve in Cartridge
SVS-V5-00 5mm
SVS-V6-00 6mm
SVS-V7-00 7mm
SVS-V9-00 9mm

Deployment Catheter and Loader

(Misplaced molecular data)
- - -
Computed, not measured: a molecular structure, C14H25HfNO3P2S2, with wB97M-V/def2-TZVPD.

XYZ file:
```
48
C14H25HfNO3P2S2 | OMol25 | wB97M-V/def2-TZVPD
Hf -1.383 -0.054 -1.235
H -4.154 -0.245 1.144
N 1.420 -1.696 1.947
C -4.016 -2.257 -1.220
C 3.314 -0.442 3.144
C 2.613 0.320 2.218
H 0.269 -0.289 -1.034
H -1.548 0.394 -4.727
H -4.224 -1.932 1.767
H 1.231 -0.173 -3.885
H -4.627 -1.392 -1.513
P -2.672 -1.697 -0.111
C -0.126 3.107 -2.404
H -1.125 -3.048 1.187
C 3.847 2.271 2.853
H -1.372 -3.715 -0.451
H -1.091 3.523 -2.074
H -2.629 -3.961 0.813
C 1.282 0.865 -3.520
O 3.395 -3.199 2.419
P -0.349 1.349 -2.850
C -1.410 1.414 -4.339
O 1.868 -2.608 4.247
H -3.573 -2.686 -2.132
C -1.880 -3.258 0.413
C -1.421 1.283 0.224
O -1.539 2.135 1.065
H 2.306 2.280 1.357
C 4.293 0.141 3.943
H -0.952 2.052 -5.109
H 2.039 0.913 -2.722
H -2.398 1.811 -4.062
H 1.579 1.533 -4.345
C 1.556 -0.468 1.567
H -0.230 -0.961 -0.437
C 4.555 1.505 3.790
H -2.708 0.413 -1.826
C -3.560 -1.139 1.387
H 0.250 3.685 -3.263
H 5.310 1.988 4.410
H -4.642 -3.007 -0.715
H 4.044 3.339 2.740
C 2.868 1.674 2.070
H 4.816 -0.465 4.675
S 2.663 -2.170 3.123
H -2.832 -0.862 2.164
S 0.360 0.543 0.870
H 0.583 3.187 -1.566
```

Properties
LUMO level (eV): -10.1
HOMO (eV): -15.165
Multiplicity: 1
E_tot (hartree): -2355.0179
Maximum force (eV Å⁻¹): 11.8
Net charge: +2
Energy relative to the best compared isomer or geometry (same formula, charge and spin) (kcal per mole): 245.5

Computed, not measured: 2 unconnected molecules or ions with the total composition C17H25BN, with wB97M-V/def2-TZVPD.

XYZ file:
```
44
C17H25BN | OMol25 | wB97M-V/def2-TZVPD
C 2.303 -1.687 1.533
H 3.322 -1.737 1.929
C 2.025 0.263 2.984
H -4.765 2.390 -1.369
H 1.944 -2.703 1.331
H 2.285 -1.101 0.607
C 2.456 -0.278 -2.736
H -0.179 2.781 -0.586
H 0.863 -1.514 4.593
C -3.916 1.713 -1.466
C -5.532 -0.179 -1.727
H 4.234 1.133 -0.187
B -0.049 -0.800 1.966
C -2.623 2.195 -1.322
H 4.473 -0.554 -2.010
H -0.911 -0.741 -1.871
H 1.437 0.679 3.811
H 2.024 0.967 2.143
H -6.018 -0.048 -0.748
C -4.139 0.351 -1.705
H -0.528 -1.866 1.611
H 2.087 2.367 0.095
C 1.029 1.227 -1.425
H 2.503 -2.022 4.097
C 3.393 0.908 -0.843
N 1.430 -1.047 2.567
H -0.032 -0.006 1.003
C -1.745 -0.051 -1.748
H 2.571 -0.977 -3.569
H 1.085 -2.946 3.526
C 3.531 -0.030 -1.873
H -0.768 -0.341 2.842
H -3.246 -1.552 -2.149
H 0.397 0.184 -3.237
C -3.048 -0.510 -1.902
H -5.531 -1.242 -1.970
C -0.213 1.806 -1.086
C -1.498 1.316 -1.408
C 1.457 -1.946 3.779
H 3.050 0.080 3.323
C 2.185 1.564 -0.647
H -6.137 0.363 -2.466
C 1.228 0.335 -2.534
H -2.434 3.256 -1.158
```

Properties
LUMO level (eV): -5.5
HOMO (eV): -12.286
Multiplicity: 1
E_tot (hartree): -742.1010
Maximum force (eV Å⁻¹): 1.8
Net charge: +1
Energy relative to the best compared isomer or geometry (same formula, charge and spin) (kcal per mole): 0.0

Computed, not measured: a molecular structure, Cl2O4P, with wB97M-V/def2-TZVPD.

XYZ file:
```
7
Cl2O4P | OMol25 | wB97M-V/def2-TZVPD
Cl -2.819 0.322 -0.165
O 1.427 0.229 0.786
- - -

A convenient deployment system for the delivery of multiple valves during a single patient procedure

Catalog Number Minimum Working Channel
SVS-C26N-06 2.6mm or greater inner diameter Deployment Catheter Length 1050mm

Airway Sizing Kit

A kit used to determine the appropriate valve size for each target airway

Catalog Number Kit Includes
SVS-VSK-KIT 500 microliter glass syringe with a plunger, a calibration gauge, Olympus balloon catheter (B5-2C), and a sizing worksheet

Ancillary equipment needed for each procedure

  • Flexible therapeutic bronchoscope with a working channel inner diameter of 2.6mm or greater
  • Bronchoscopy forceps appropriate for valve removal
  • Standard 10cc sterile syringe with Luer-lock
  • Sterile saline (approximately 15-30cc used per procedure)